┌──
Compound: TbFeB4
Source: Alexandria via LeMat-Bulk
Functional: GGA-PBE
Structure: optimized geometry

The magnetic moment is 0.0 μB per cell. The calculation puts the density at 7.50 Mg/m³. The total energy is -7.2321 eV per atom. For the energy above the most stable polymorph in this dataset, the calculation gives 0.00 kcal/mol of atoms.

The structure belongs to space group Pbam (No. 55); the cell edges are 5.9049, 11.4225 and 3.3900 Å and the angles 90.00°, 90.00° and 90.00°. The distinct sites, in fractional coordinates, are Tb at (0.1263, 0.1503, 0.0000), Fe at (0.1325, 0.4118, 0.0000), B at (0.0246, 0.6899, 0.5000), B at (0.1111, 0.5457, 0.5000), B at (0.1397, 0.9681, 0.5000) and B at (0.2189, 0.8166, 0.5000).


Compound: TbFeTcB2
Source: Alexandria via LeMat-Bulk
Functional: GGA-PBE
Structure: optimized geometry

The magnetic moment is 3.3 μB per cell. The calculation puts the density at 8.11 Mg/m³. The total energy is -7.6954 eV per atom.

The structure belongs to space group I-4m2 (No. 119); the cell edges are 3.7322, 3.7322 and 9.8359 Å and the angles 90.00°, 90.00° and 90.00°. The distinct sites, in fractional coordinates, are Tb at (0.0000, 0.0000, 0.0000), Fe at (0.0000, 0.5000, 0.2500), Tc at (0.0000, 0.5000, 0.7500) and B at (0.0000, 0.0000, 0.3511).


Compound: Fe3TcB
Source: Alexandria via LeMat-Bulk
Functional: GGA-PBE
Structure: optimized geometry

The magnetic moment is 2.9 μB per cell. The calculation puts the density at 8.49 Mg/m³. The total energy is -8.2682 eV per atom. For the energy above the most stable polymorph in this dataset, the calculation gives 0.00 kcal/mol of atoms.

The structure belongs to space group Pm-3m (No. 221); the cell edges are 3.7807, 3.7807 and 3.7807 Å and the angles 90.00°, 90.00° and 90.00°. The distinct sites, in fractional coordinates, are Fe at (0.0000, 0.0000, 0.5000), Tc at (0.5000, 0.5000, 0.5000) and B at (0.0000, 0.0000, 0.0000).
└──

Give back the rows further up unchanged.

Compound: TbFeB4
Source: Alexandria via LeMat-Bulk
Functional: GGA-PBE
Structure: optimized geometry

The magnetic moment is 0.0 μB per cell. The calculation puts the density at 7.50 Mg/m³. The total energy is -7.2321 eV per atom. For the energy above the most stable polymorph in this dataset, the calculation gives 0.00 kcal/mol of atoms.

The structure belongs to space group Pbam (No. 55); the cell edges are 5.9049, 11.4225 and 3.3900 Å and the angles 90.00°, 90.00° and 90.00°. The distinct sites, in fractional coordinates, are Tb at (0.1263, 0.1503, 0.0000), Fe at (0.1325, 0.4118, 0.0000), B at (0.0246, 0.6899, 0.5000), B at (0.1111, 0.5457, 0.5000), B at (0.1397, 0.9681, 0.5000) and B at (0.2189, 0.8166, 0.5000).


Compound: TbFeTcB2
Source: Alexandria via LeMat-Bulk
Functional: GGA-PBE
Structure: optimized geometry

The magnetic moment is 3.3 μB per cell. The calculation puts the density at 8.11 Mg/m³. The total energy is -7.6954 eV per atom.

The structure belongs to space group I-4m2 (No. 119); the cell edges are 3.7322, 3.7322 and 9.8359 Å and the angles 90.00°, 90.00° and 90.00°. The distinct sites, in fractional coordinates, are Tb at (0.0000, 0.0000, 0.0000), Fe at (0.0000, 0.5000, 0.2500), Tc at (0.0000, 0.5000, 0.7500) and B at (0.0000, 0.0000, 0.3511).


Compound: Fe3TcB
Source: Alexandria via LeMat-Bulk
Functional: GGA-PBE
Structure: optimized geometry

The magnetic moment is 2.9 μB per cell. The calculation puts the density at 8.49 Mg/m³. The total energy is -8.2682 eV per atom. For the energy above the most stable polymorph in this dataset, the calculation gives 0.00 kcal/mol of atoms.

The structure belongs to space group Pm-3m (No. 221); the cell edges are 3.7807, 3.7807 and 3.7807 Å and the angles 90.00°, 90.00° and 90.00°. The distinct sites, in fractional coordinates, are Fe at (0.0000, 0.0000, 0.5000), Tc at (0.5000, 0.5000, 0.5000) and B at (0.0000, 0.0000, 0.0000).